
The Gunion

Who says giant robots has to be about death and destruction? Well, at least the fellows at MAHQ.net can make death and destruction funny. Most U.S. web surfers are familiar with The Onion, a news satire page. Typical headlines include over the top claims, and make seemingly innocent topics become rather twisted. The Gunion brings the satire and fun in a form that is a bit more Otaku, or A-boy friendly. For example, todays story: Kaiju uses New Strategy, Decimates Super Heroes. At the bottom of the article is an ad for Dancouga - Conflict Resolution with an 800 number. I'm sure there are many people out there that may not find this humor funny, but who cares. It's got some pretty witty stuff. The only complaint I have, is that it's not updated very often. The current issue is from May. They may just need some more writers. I think it is a great concept with much potential. But first, I need to get my MS out of repossesion, what was that number again...


Modeler: Dalong.net

This is the Gunpla enthusiast's best friend. Have you ever anticipated getting a kit, just knowing that with minimal effort, it would look great right out of the box? Only to be completely disappointed in it's cheesy construction? Dalong takes the guess work out. He was even kind enough to offer an English menu system. Each kit reviewed, systematically opened, runners displayed, and a few parts are assembled to give you an idea of construction. The instructions are also scanned in to see what you're up against, too. This absolutely indispensable site gives you a virtual test drive of each kit, before you even order one. Check it out soon, before it's too late. ^^



Pardon my dust

I am considering a move to Wordpress. How serious? I'm not sure. Blogger seems to offer a few more features that I am looking for right now. In the mean time, I am trying to find a new look. I'll be playing around with templates and colors. So that means that it may not always look pleasant, but I'm working on it.


FXA-05D/RX178 HGUC Pt.4.75

I have not worked on my HGUC for quite some time. I plan on changing that this week. In the mean time, I did finish my lightbox. I took three photos trying to get the lighting correct. I think I made the box waaaaaay too big. I'm going to cut it down. almost by half. Other than that, I would say that the tutorial I posted earlier was quite good. For future reference, keep in mind the scale of your model before starting, though. The lighting had to be rearranged to fill the space better. But, overall, I feel the project was a success. Now I just need to finish the rest of this kit...

• Someone pasted calculated molecules at this point:
/*
Run a
Below is the molecule C5H10O, with properties calculated with the ωB97M-V functional and the def2-TZVPD basis.

The geometry in ORCA input format:
```
! wB97M-V def2-TZVPD RIJCOSX def2/J DEFGRID3
* xyz 0 1
C 0.513 0.246 1.754
C -0.668 -0.021 0.855
C -1.093 0.971 -0.214
C -0.459 -0.334 -0.593
C 0.972 -0.347 -1.206
O -1.202 -1.349 -1.208
H 0.242 0.927 2.566
H 0.888 -0.684 2.195
H 1.335 0.703 1.193
H -1.498 -0.542 1.339
H -2.157 1.145 -0.366
H -0.464 1.843 -0.371
H 1.017 -0.552 -2.301
H 1.633 -1.101 -0.750
H 1.411 0.638 -1.096
H -0.471 -1.543 -1.797
*
```

Results
HOMO-LUMO gap = 10.166 eV
Highest occupied orbital energy = -0.337 Ha
Structure (SMILES) = C[C@H]1C[C@]1(C)O
E_LUMO = 0.0368 Eh

---

Run b
Below is a structure of composition C5H10O, with properties calculated with the ωB97M-V functional and the def2-TZVPD basis.

The geometry in ORCA input format:
```
! wB97M-V def2-TZVPD RIJCOSX def2/J DEFGRID3
* xyz 0 1
C 1.991 -0.163 -0.129
C 0.651 -0.519 0.509
C -0.643 0.028 -0.130
C -1.881 -0.532 0.543
C -0.650 1.381 -0.541
O 0.045 1.544 -1.608
H 2.145 0.919 -0.194
H 2.810 -0.584 0.465
H 2.070 -0.568 -1.145
H 0.548 -1.612 0.521
H 0.667 -0.216 1.568
H -0.036 0.300 -1.509
H -1.829 -0.454 1.639
H -2.797 -0.033 0.208
H -1.988 -1.597 0.303
H -1.192 2.243 -0.135
*
```

Results
HOMO-LUMO gap = 8.621 eV
Highest occupied orbital energy = -0.300 Ha
E_LUMO = 0.0173 Eh

---

Energy relative to the most stable one, in eV: run a 0.000; run b 1.985

---

Run a
Below is a cluster of 2 separate species, C5H10O in total, with properties calculated with the ωB97M-V functional and the def2-TZVPD basis.

The geometry in ORCA input format:
```
! wB97M-V def2-TZVPD RIJCOSX def2/J DEFGRID3
* xyz 0 1
C -1.012 -0.155 -0.806
C 0.357 -0.892 -0.825
C 0.942 0.195 0.076
C 0.802 1.537 -0.565
C -0.405 0.934 0.077
H -1.774 -0.737 -0.280
H -1.409 0.177 -1.772
H 0.301 -1.874 -0.345
H 0.843 -1.008 -1.799
H 1.675 0.026 0.862
H 1.244 2.349 0.007
H 0.864 1.652 -1.646
H -0.940 1.468 0.859
O -0.790 -1.274 2.317
H -0.190 -1.939 1.962
H -0.510 -0.460 1.878
*
```

Results
HOMO-LUMO gap = 11.055 eV
Highest occupied orbital energy = -0.368 Ha
Structure (SMILES) = C1C[C@H]2C[C@@H]12.O
E_LUMO = 0.0378 Eh

---

Run b
Below is the molecule C5H10O, with properties calculated with the ωB97M-V functional and the def2-TZVPD basis.

The geometry in ORCA input format:
```
! wB97M-V def2-TZVPD RIJCOSX def2/J DEFGRID3
* xyz 0 1
C -0.682 -0.506 1.758
C -0.542 -1.190 -0.675
C -1.245 -0.341 0.337
C 1.436 0.061 -1.253
C 1.072 1.445 -0.854
O 0.642 -0.964 -1.175
H -0.664 -1.564 2.045
H 0.345 -0.129 1.820
H -1.290 0.036 2.492
H -0.805 -2.238 -0.774
H -2.296 -0.655 0.330
H -1.249 0.720 0.067
H 2.319 -0.160 -1.837
H 1.868 2.119 -1.185
H 0.138 1.781 -1.328
H 0.953 1.584 0.232
*
```

Results
HOMO-LUMO gap (alpha / beta) = 7.951 / 7.893 eV
Highest occupied orbital energy (alpha / beta) = -0.253 / -0.252 Ha
E_LUMO (alpha / beta) = 0.0393 / 0.0383 Eh

---
*/
• The calculated molecules stop here:


Gundam 00 Trailer

I saw this at DannyChoo.com this morning.


News: Gundam 00 Q&A

Gunota Headlines has a question and answer with the series creator of the new Gundam 00 series. Although he is honest in his answers, I can't help be feel a little more distanced from the series. The problem that I have, is that Sunrise seems to be the driving force behind the movement away from the core Gundam style of animation and story telling. Super robots are cool, but the more "realistic" idea of mecha is what has captured my interest for so long. As I say with every Gundam 00 post, we'll just have to wait and see....

Gunota Headlines: Mizushima Animage interview


Building a Lightbox

One great thing about Gunpla is the photography that goes along with it. My current setup is rather amusing. I have two sheets of black poster board, a tv tray, and two halogen construction lights. I seems to work o.k., however, this is what I plan to do next. Presenting a lightbox. These can be bought pre-made, but the can get a bit expensive. I stumbled upon this tutorial at Gamera Baene. The construction is simple, straight forward, and cheap. Perfect! As you can see, the light setting on your camera is important, as well as the use of a tripod. I hope to get some time this week to start work on it. Of course I need to get back to my HGUC RX-178, too.

Next to the piece, the page also holds quantum chemistry results:
--- a ---
# C5H7IN

A structure of composition C5H7IN (ωB97M-V/def2-TZVPD, OMol25).

Structure (ORCA input):
```
! RIJCOSX wB97M-V def2-TZVPD def2/J DEFGRID3
* xyz 1 1
C 0.30 -1.96 0.29
C 1.01 -1.32 1.28
C 2.31 -0.65 1.26
C 1.04 0.00 0.75
C 0.40 -0.77 -0.43
N -1.82 1.11 -1.37
I 0.92 -0.50 -2.41
H 0.01 -3.03 0.24
H 2.56 -0.33 2.19
H 3.08 -0.98 0.70
H 0.85 1.08 1.07
H -1.67 0.70 -2.30
H -1.56 2.13 -1.64
H -2.69 1.32 -1.03
*
```

Gap between HOMO and LUMO (spin up / spin down), eV: 7.53 / 7.52
E_HOMO (spin up / spin down), Ha: -0.5082 / -0.5082

--- b ---
# C5H7IN

The ion C5H7IN with charge +1 (ωB97M-V/def2-TZVPD, OMol25).

Structure (ORCA input):
```
! RIJCOSX wB97M-V def2-TZVPD def2/J DEFGRID3
* xyz 1 1
C 1.54 0.81 -0.27
C -0.79 0.79 -1.25
C -1.78 -0.10 -1.50
C 0.63 -0.55 1.81
C 1.04 -0.43 0.37
N 0.35 0.41 -0.58
I -3.56 0.22 -2.42
H -0.87 1.92 -1.39
H -1.63 -1.21 -1.10
H 0.15 0.17 2.30
H -0.11 -1.26 2.00
H 1.50 -0.89 2.34
H 1.32 -1.43 0.00
H 2.20 1.54 -0.30
*
```

SMILES string: C[C@@H]1C=[N+]1/C=C/I
Gap between HOMO and LUMO, eV: 7.67
E_HOMO, Ha: -0.4849

Relative energies, in kJ/mol, with the most stable structure set to zero: a 239.8; b 0.0.

----------

No. 1
# C24H50F12KN2O18S4

A structure of composition C24H50F12KN2O18S4 in a non-equilibrium geometry (ωB97M-V with the def2-TZVPD basis set, OMol25).

Values from the calculation:
orbital gap (alpha / beta) = 0.1076 / 0.2992 hartree
total charge = -2
LUMO level (alpha / beta) = 0.11603 / 0.11612 hartree
multiplicity = 2
highest occupied orbital energy (alpha / beta) = 0.230 / -4.983 eV
⟨S²⟩ = 0.7502

Each line ends with the Löwdin spin population.
CARTESIAN COORDINATES (ANGSTROEM)
K  -2.6100  -0.7275  -0.0039  0.744
C  -1.5853  2.9519  1.0189  0.007
F  -1.7476  3.7178  -0.0629  0.005
F  -1.6544  3.8307  2.0865  0.002
F  -2.4419  1.9443  1.0228  0.047
S  0.1931  2.0605  0.9395  0.013
O  1.0306  3.0939  0.3256  0.001
O  0.6281  1.7984  2.3722  0.002
N  -0.1288  0.6580  -0.0095  0.004
S  1.3288  0.0631  -0.1302  0.008
O  2.0716  0.7862  -1.1093  0.001
O  2.0537  -0.2104  1.0878  0.001
C  0.9816  -1.7143  -0.9759  0.003
F  0.7746  -1.6278  -2.2802  0.002
F  1.9345  -2.6347  -0.8026  0.001
F  -0.0752  -2.2483  -0.3958  0.022
C  8.6540  -6.2704  -2.6681  0.000
F  9.8095  -6.5474  -2.1008  0.000
F  8.5796  -5.1128  -3.2978  0.000
F  8.4094  -7.1596  -3.6022  0.000
S  7.2047  -6.1429  -1.3983  0.000
O  7.2068  -7.4430  -0.7608  0.000
O  7.4876  -5.0308  -0.4758  0.000
N  5.8430  -5.8906  -2.5074  0.000
S  5.4529  -4.3596  -2.3009  0.000
O  4.3945  -4.0319  -1.3606  0.000
O  6.4957  -3.3395  -2.2481  0.000
C  4.6315  -3.9130  -4.0311  0.000
F  5.6129  -3.7754  -4.9657  0.000
F  3.8068  -4.9195  -4.4489  0.000
F  3.8970  -2.7988  -3.8981  0.000
C  -1.8675  9.4472  -1.5627  0.000
O  -2.7293  8.2826  -1.7315  0.000
C  -2.1094  7.0270  -1.5150  0.000
C  -1.6789  6.8471  -0.0648  0.000
O  -0.2684  7.0356  -0.1069  0.000
C  0.3581  7.3158  1.1680  0.000
H  -2.4666  10.3527  -1.6580  0.000

Gamera Baenre: Lightbox Tutorial


I know, I told you Tuesdays...

I'm actually on vacation this week. I'm away from my computer, as well as my normal schedule. I'll be updating as soon as I get back.
